
Monteleone di Spoleto: The highest municipality in Umbria

Hello everyone! Today I want to talk to you about Monteleone di Spoleto, a delightful municipality in Umbria with a population of only 563 inhabitants and a breathtakingly panoramic position: it is in fact the highest municipality in the region.

Physical geography and geology

The area is characterized by the presence of mountains, whose composition is mainly sedimentary limestone rocks of marine origin, dating back to the Jurassic and Cretaceous periods. An interesting discovery is a fossil of an ammonite called "Rarenodia", first found in the marly rocks of the lithostratigraphic unit known as "Ammonitic Red," which played a significant role in dating the rocks.

-- Here the entry breaks off for data records --
<<<
[1]
# C2H4N4

C2H4N4 in the gas phase (ωB97M-V/def2-TZVPD, the OMol25 dataset).

XYZ file:
```
10
Properties=species:S:1:pos:R:3:mulliken_charge:R:1
N 2.06227 -0.03613 -0.19705 -0.11
C 0.59911 -0.02344 -0.04121 0.63
N 1.17144 -0.85647 0.74649 -0.44
N -1.83455 -0.52524 0.73936 -0.58
C -1.60289 0.34156 -0.16607 0.02
N -0.32064 0.64515 -0.62013 -0.63
H 2.63584 0.67347 0.24677 0.26
H 2.49816 -0.55655 -0.95116 0.26
H -2.83437 -0.59208 0.91900 0.22
H -2.37438 0.92973 -0.67601 0.37
```

As for the strongest force on any atom: 0.0110 Eh/bohr. Its spin multiplicity is 1. For the energy above the lowest of the compared OMol25 structures with the same formula, charge and spin, the calculation gives 75.5 kcal/mol. The HOMO energy is -8.9 eV.



[2]
# C2H4N4

C2H4N4 in the gas phase in a non-equilibrium geometry (ωB97M-V/def2-TZVPD, the OMol25 dataset).

XYZ file:
```
10
Properties=species:S:1:pos:R:3:mulliken_charge:R:1
C 0.36730 -1.29487 -0.78589 -0.81
C 0.12680 0.01147 -0.22250 0.60
H 1.47729 -1.55229 -0.58685 0.24
H -0.20675 -2.21760 -0.44374 0.24
H -0.00618 -1.23199 -1.83661 0.29
H -0.36873 1.70066 2.19970 0.28
N -0.75838 0.90571 -0.75662 -0.17
N -0.93267 1.82966 0.13318 -0.44
N -0.19446 1.48847 1.22691 0.26
N 0.49577 0.36079 1.07243 -0.50
```

As for the strongest force on any atom: 0.0749 Eh/bohr. Its spin multiplicity is 1. For the energy above the lowest of the compared OMol25 structures with the same formula, charge and spin, the calculation gives 44.5 kcal/mol. The SMILES is Cc1nn[nH]n1. The HOMO energy is -10.1 eV.



[3]
# C2H4N4

C2H4N4 in the gas phase in a non-equilibrium geometry (ωB97M-V/def2-TZVPD, the OMol25 dataset).

XYZ file:
```
10
Properties=species:S:1:pos:R:3:mulliken_charge:R:1
C 1.63737 -0.41875 -0.00751 0.16
C 0.23150 0.13213 0.30897 0.36
N 2.75902 -0.65869 -0.02339 -0.38
N -0.01657 1.45190 -0.24709 -0.49
N -1.06869 -1.71822 -0.35940 -0.46
N -1.11967 -0.57870 0.15617 -0.01
H 0.44260 0.06017 1.40664 0.13
H -0.30359 1.98693 0.49558 0.22
H -2.05749 -1.94963 -0.64026 0.25
H -0.50447 1.69285 -1.08972 0.23
```

As for the strongest force on any atom: 0.0526 Eh/bohr. Its spin multiplicity is 1. For the energy above the lowest of the compared OMol25 structures with the same formula, charge and spin, the calculation gives 73.5 kcal/mol. The SMILES is [H]/N=N/[C@H](N)C#N. The HOMO energy is -10.1 eV.



[4]
# C2H4N4

C2H4N4 in the gas phase in a non-equilibrium geometry (ωB97M-V/def2-TZVPD, the OMol25 dataset).

XYZ file:
```
10
Properties=species:S:1:pos:R:3:mulliken_charge:R:1
C -0.79834 0.04622 0.07863 0.26
C 1.45229 -0.54238 -0.04115 -0.02
H -2.36231 0.69213 0.21836 0.25
H -0.12195 -2.11475 -0.26021 0.34
H 2.49544 -0.98539 -0.19510 0.33
H -0.18838 2.20861 0.06625 0.24
N -1.97763 -0.22081 -0.12435 -0.59
N 0.15395 -1.02188 0.23026 -0.34
N 1.33970 0.76783 -0.02606 -0.56
N 0.00723 1.17043 0.05337 0.08
```
>>>
-- Here the entry continues --

The fossil is preserved in a classroom at the University of Perugia, is an otopype of the species and genotyp, and is placed in a special display case for public viewing.

Monteleone di Spoleto: the highest municipality in Umbria and its wonders.


The territory of Monteleone dates back to ancient times, with the presence of necropolises dating back to the Villanovan and Etruscan periods. A famous Etruscan artifact is the Monteleone Chariot, dating back to the mid-6th century B.C., which depicts scenes of the hero Achilles. The chariot is kept at the Metropolitan Museum of Art in New York, but the municipal administration of Monteleone is requesting its return.

The area was then inhabited by the Romans who built the current hamlet of Trivio. The foundation of the castle of Monteleone occurred after the barbarian invasions, when the nobleman Attone built the castle of Brufa in 880. Destroyed around 1100, it was then rebuilt and donated to Spoleto, giving the name to the municipality of Monteleone. Later, the castle suffered a new destruction in 1228 by the Saracens, but was rebuilt in 1265 by the noble family of the Tiberti.

Events and tourist attractions

Monteleone di Spoleto is a perfect place for nature and ancient history lovers. Every year, in August, the White Night is held, a festival that extends throughout the night with music and shows.

(Here the entry breaks off for records of molecules)
~~~
# 1
Computed, not measured: a molecular structure, C34H64FeGeN3O4SSi5Te, with ωB97M-V/def2-TZVPD.

Computed properties:
- DFT total energy: -197382.3239 eV
- E_HOMO (spin up / spin down): -1.18 / -1.24 eV
- Lowest unoccupied orbital energy (spin up / spin down): 3.886 / 3.885 eV
- Strongest force on any atom: 1.37 eV/A
- Frontier orbital gap (spin up / spin down): 5.07 / 5.13 eV

Geometry as ORCA input:
```
! RIJCOSX wB97M-V def2-TZVPD def2/J DEFGRID3
* xyz -2 6
Fe 0.379 -0.011 -0.016
N -0.091 -4.397 -0.656
C 0.368 -3.083 -0.529
S -0.632 -1.842 -1.264
N 1.496 -2.904 0.054
N 1.876 -1.557 0.118
C 3.177 -1.394 0.096
C 3.836 -0.171 -0.015
C 5.246 -0.120 -0.050
C 5.951 1.033 -0.223
C 5.200 2.258 -0.423
C 3.860 2.307 -0.405
C 2.990 1.097 -0.093
O 1.925 0.962 -0.994
H -1.091 -4.442 -0.779
H 0.246 -4.995 0.086
H 3.778 -2.306 0.093
H 5.775 -1.065 0.053
H 7.032 1.041 -0.246
H 5.751 3.177 -0.611
H 3.325 3.235 -0.573
C 2.492 -1.929 3.590
Si 0.618 -2.209 3.621
C 0.419 -4.025 3.127
C 0.253 -2.171 5.485
Ge -0.737 -0.798 2.220
Si -2.857 -1.926 2.341
C -3.128 -3.268 1.053
C -3.037 -2.857 3.993
C -4.388 -0.838 2.302
Si -1.271 1.075 3.609
C -2.250 0.564 5.158
C 0.165 2.021 4.396
C -2.348 2.350 2.753
H 2.999 -2.892 3.703
H 2.803 -1.278 4.413
H 2.841 -1.481 2.659
H 0.748 -4.686 3.936
H 1.038 -4.205 2.244
H -0.610 -4.282 2.868
H 0.937 -2.854 5.999
H -0.770 -2.469 5.721
H 0.404 -1.167 5.892
H -2.415 -4.085 1.192
H -2.988 -2.864 0.049
H -4.144 -3.670 1.135
H -2.401 -3.742 4.049
H -4.079 -3.173 4.115
H -2.782 -2.216 4.839
H -4.429 -0.281 1.363
H -4.406 -0.117 3.121
H -5.274 -1.478 2.382
H -1.703 -0.176 5.746
H -3.222 0.129 4.915
H -2.420 1.443 5.788
H 0.861 1.343 4.901
H -0.229 2.721 5.139
H 0.732 2.582 3.652
H -3.173 1.865 2.227
H -1.774 2.886 1.992
H -2.753 3.064 3.478
O -3.708 0.527 -0.763
C -2.533 0.867 -0.879
O -1.640 0.799 0.038
C -2.086 1.457 -2.232
C -3.007 1.771 -3.144
C -2.626 2.251 -4.479
C -1.349 2.352 -4.839
C -0.195 1.987 -3.942
C -0.627 1.626 -2.504
H -4.051 1.641 -2.888
H -3.411 2.510 -5.181
H -1.084 2.701 -5.833
H 0.449 2.872 -3.896
H -0.142 0.686 -2.234
C -1.530 6.574 0.387
Si -0.543 6.292 -1.179
C -0.949 7.698 -2.364
C 1.278 6.445 -0.762
C -0.972 4.653 -1.921
Te 0.175 3.019 -1.044
C 0.615 0.814 -4.565
Si 2.499 0.856 -4.407
C 3.138 2.509 -3.826
C 3.211 -0.566 -3.426
C 3.147 0.664 -6.177
H -1.226 7.496 0.891
H -1.394 5.744 1.085
H -2.599 6.641 0.167
H -0.785 8.671 -1.892
H -1.994 7.651 -2.683
H -0.325 7.649 -3.260
H 1.495 7.396 -0.268
H 1.894 6.371 -1.662
H 1.593 5.635 -0.099
H -0.784 4.633 -2.998
H -2.037 4.450 -1.771
H 0.383 0.746 -5.634
H 0.248 -0.117 -4.120
H 2.667 2.798 -2.884
H 2.957 3.297 -4.563
H 4.214 2.440 -3.644
H 3.897 -0.200 -2.661
H 3.745 -1.264 -4.078
H 2.429 -1.114 -2.894
H 2.746 1.442 -6.834
H 2.866 -0.306 -6.598
H 4.238 0.735 -6.200
C 3.391 1.518 2.468
C 2.439 1.325 1.323
O 1.228 1.372 1.502
H 3.508 2.592 2.636
H 4.365 1.089 2.245
H 2.964 1.074 3.367
*
```

***

# 2
~~~
(Back to the entry)

Among the tourist attractions, the Castle of Monteleone is definitely worth a visit, and the church of Santa Maria Assunta, dating back to the thirteenth century, offers a panoramic view of the valley below.

But among the main attractions of Monteleone is undoubtedly the Grotto of the Nymphs, a natural cave from which flows the water of the Teverone river spring. Here you can admire the sculptures of the famous contemporary artist Emilio Greco, representing Greek deities like nymphs, Aphrodite, and the god Pan. The cave is located about 5 km from the village, but it's certainly worth the trip!

### These records of molecules were left in the text by mistake
## 1
A cluster of 2 separate species, C4H11NO in total, computed with wB97M-V/def2-TZVPD.

Element x y z (Å)
C 0.78 -0.18 2.12
N 0.62 0.08 0.68
C -0.59 -0.41 0.06
C -1.49 -1.21 -2.10
C -0.50 -0.54 -1.39
H 0.53 -1.22 2.38
H 1.82 -0.04 2.38
H 0.09 0.43 2.70
H 1.41 -0.38 0.24
H -1.43 0.26 0.29
H -0.95 -1.33 0.56
H -2.09 -0.76 -2.89
H -1.66 -2.26 -1.88
H 0.51 -0.33 -1.79
H 0.69 1.92 -0.26
H 0.93 3.32 -0.82
O 1.34 2.64 -0.28

Output
Multiplicity: 2
Kohn-Sham gap (alpha / beta): 6.680 / 6.059 eV
Charge: +1

Mulliken atomic charge list, values in e, 4 entries:
1. C -0.976
2. N -0.304
3. C -0.531
4. C -0.664


## 2
A cluster of 2 separate species, C4H11NO in total, computed with wB97M-V/def2-TZVPD.

Element x y z (Å)
C 0.29 -0.26 2.30
N 0.56 -0.27 0.89
C -0.20 -1.17 0.00
C -1.49 -0.48 -1.99
C -0.31 -0.63 -1.41
H 0.12 -1.28 2.65
H 1.10 0.21 2.83
H -0.68 0.20 2.50
H 1.56 -0.28 0.72
H -1.20 -1.24 0.42
H 0.29 -2.15 0.11
H -1.48 -0.34 -3.06
H -2.39 -0.42 -1.39
H 0.62 -0.51 -1.95
H 0.44 1.71 0.41
H 0.32 2.95 -0.46
O 0.94 2.25 -0.20

Output
Multiplicity: 2
Kohn-Sham gap (alpha / beta): 11.134 / 6.180 eV
Charge: +1

Mulliken atomic charge list, values in e, 4 entries:
1. C -0.786
2. N -0.063
3. C -0.515
4. C -0.744


## 3
A cluster of 2 separate species, C4H11NO in total, computed with wB97M-V/def2-TZVPD.

Element x y z (Å)
C 1.95 -0.53 -1.29
C 0.95 -0.46 -0.19
C -0.36 -0.73 -0.46
N -1.37 -0.68 0.45
C -1.13 -0.37 1.89
H 1.41 -0.68 -2.22
H 2.54 0.38 -1.42
H 2.70 -1.30 -1.11
H 1.18 -0.58 0.86
H -0.71 -1.00 -1.45
H -2.24 -0.33 0.03
H -0.57 0.56 1.95
H -2.08 -0.18 2.38
H -0.55 -1.22 2.22
H -0.39 3.14 -0.55
H -0.38 1.62 -0.56
O -0.96 2.37 -0.52

Output
Multiplicity: 2
Kohn-Sham gap (alpha / beta): 11.246 / 7.947 eV
Charge: +1

Mulliken atomic charge list, values in e, 4 entries:
1. C -1.099
2. C 0.234
3. C -0.485
4. N -0.020


Most stable to least stable, the ends of the list are 3 and 1.


## 1
A structure of composition C3H6N4O, computed with wB97M-V/def2-TZVPD.

Element x y z (Å)
C -0.44 1.00 -0.65
C 0.57 0.05 -0.38
C 0.63 -0.40 0.91
H -0.71 0.24 -2.74
H -1.96 -0.07 -1.44
H -0.04 2.08 -0.85
H -1.26 0.89 0.06
H 0.19 -0.01 3.01
H -1.10 -1.39 2.13
N -1.34 0.71 -1.90
N 2.32 -1.37 -0.11
N 1.82 -1.10 0.94
N -0.41 -0.26 2.04
O 1.73 -0.36 -1.03

Output
Kohn-Sham gap: 9.579 eV

Mulliken atomic charge list, values in e, 4 entries:
1. C -0.654
2. C 0.421
3. C 0.124
4. H 0.279


## 2
The molecule C3H6N4O, computed with wB97M-V/def2-TZVPD.

Element x y z (Å)
C -0.76 2.05 0.29
N -0.14 1.46 -0.89
C 0.30 0.26 -0.92
O 0.83 -0.23 -2.05
N 1.22 -1.57 -1.85
C 0.80 -1.89 -0.69
N 0.29 -0.81 -0.02
N -0.26 -0.74 1.25
H -1.67 1.52 0.58
H -0.10 2.02 1.15
H -0.95 3.07 0.03
H 0.95 -2.84 -0.18
H -0.99 -1.46 1.34
H 0.46 -0.84 1.96

Output
Kohn-Sham gap: 8.907 eV
Structure (SMILES): C/N=c1/oncn1N

Mulliken atomic charge list, values in e, 4 entries:
1. C -0.729
2. N -0.529
3. C 0.611
4. O -0.218


Most stable to least stable, the ends of the list are 2 and 1.


## 1

Food and typical products

The cuisine of Monteleone di Spoleto is mainly based on typical Umbrian products, such as rigatoni with sausage, asparagus risotto, roasted pork and wild boar with hunters-style sauce.

In addition, the municipality is famous for its production of cheeses, including the prized Umbrian pecorino, which can be tasted in one of the wine cellars of the village.


Monteleone di Spoleto is undoubtedly a village to visit for nature and ancient history lovers, but also for those who love to savor typical Umbrian products. I recommend spending at least a couple of days here to admire all the wonders that this municipality has to offer. What are you waiting for? Pack your bags and go and discover Monteleone di Spoleto!

Federico Conte
Updated Saturday, Feb 19, 2022